Meet the pasta: Rigatoni

Who does not appreciate a delicious pasta, is not it? If done well with a beautiful sauce and al dente conquers and warms the heart of anyone who tastes. After all, there is nothing better than eating well-prepared and lovingly made pasta. 

And no matter what the time of day, it can be for lunch, dinner or both, a portion of pasta is always welcome, because, in addition to being a source of energy because they are carbohydrates, a good dish of pasta, accompanied by an excellent wine is all good.


There are various types of pasta and various types of sauces and combinations for each of them: long pasta, thin pasta, short pasta, thick pasta, lasagna pasta, stuffed pasta, pasta for soups, a real infinity, etc equally tasty and desired by people all over the world. 

But today we will meet the pasta: Rigatoni, which is a short dough consisting of thick and fast cylinders (they look like small pieces of pipes) with a wide groove so that the sauce enters it. 


This pasta combines more with thicker sauces and containing pieces, it can be a sauce with vegetables, red meat, white meat, seafood, cheeses and whatever else your imagination and your taste buds desire, after all, Rigatoni offers a wide variety of dishes that you can make, the only thing is that it must be a thick sauce since it enters the central opening of the pasta, which makes it absorb much more flavor. 


You can do it with a sauce that is very thick, bechamel sauce, alfredo sauce, pesto sauce, you can even make the Rigatoni gratin in the oven that also goes very well, even more, if you hit a sauce with many pieces and it is very thick.


Rigatoni Alla Pajata is a typical Roman dish, well known and very simple to prepare. It consists of Rigatoni cooked al dente and then mixed with a sauce made with tomato puree, sauce, onion, white wine, olive oil, salt and of course, the Pajata (in romanesco) or pagliata (Italian), which is nothing more than the small intestine of the calf or the Ox. 


But of course, not everyone is very fan of eating intestine or other internal organs of animals and that is exactly why I will give you tips of different types of sauces that Rigatoni pasta combines since as I said, This is a very versatile pasta and combines with a wide variety of spices.

**Here the piece breaks off for crystal structures:**
A plane-wave DFT calculation with GGA-PBE was carried out for an optimized crystal structure of V4HgTe8.

Summary:
As for the calculated density: 6.68 Mg/m³. The calculation puts the uncorrected formation energy at -368 kJ/mol of formula units. As for the total energy: -5.056 eV/atom.

abc: 11.230 11.230 11.230
angles: 90.00 90.00 90.00
Space group F-43m (No. 216)
Asymmetric unit:
V1 0.107 0.107 0.107 x16
Hg1 0.000 0.000 0.500 x4
Te1 0.130 0.130 0.870 x16
Te2 0.143 0.143 0.357 x16

=====

A plane-wave DFT calculation with GGA-PBE was carried out for an optimized crystal structure of V5Hg3Te12.

Summary:
As for the calculated density: 6.47 Mg/m³. The calculation puts the uncorrected formation energy at 22 kJ/mol of formula units. As for the total energy: -4.198 eV/atom.

abc: 16.988 16.988 16.988
angles: 90.00 90.00 90.00
Space group Ia-3d (No. 230)
Asymmetric unit:
V1 0.000 0.000 0.000 x16
V2 0.000 0.250 0.375 x24
Hg1 0.000 0.250 0.125 x24
Te1 0.038 0.058 0.644 x96

=====

A plane-wave DFT calculation with GGA-PBE was carried out for an optimized crystal structure of VHg3Te.

Summary:
As for the calculated density: 7.25 Mg/m³. The calculation puts the uncorrected formation energy at 489 kJ/mol of formula units. As for the total energy: -1.620 eV/atom.

abc: 5.633 5.633 5.633
angles: 90.00 90.00 90.00
Space group Pm-3m (No. 221)
Asymmetric unit:
V1 0.000 0.000 0.000 x1
Hg1 0.000 0.500 0.500 x3
Te1 0.500 0.500 0.500 x1

=====

A plane-wave DFT calculation with GGA-PBE was carried out for an optimized crystal structure of V2HgTe4.

Summary:
As for the calculated density: 6.59 Mg/m³. The calculation puts the uncorrected formation energy at -181 kJ/mol of formula units. As for the total energy: -4.712 eV/atom.

abc: 17.244 3.605 6.589
angles: 90.00 91.17 90.00
Space group C2/m (No. 12)
Asymmetric unit:
V1 0.246 0.000 0.206 x4
Hg1 0.000 0.500 0.500 x2
Te1 0.141 0.500 0.067 x4
Te2 0.168 0.000 0.569 x4

=====

uncorrected formation energy of number 1 (V4HgTe8)?
-368 kJ/mol of formula units

=====

The highest uncorrected formation energy belongs to which entry?
VHg3Te

* * * * *

Record 1
A plane-wave DFT calculation with PBE-GGA was carried out for a relaxed LaYAu2 crystal.

```
LaYAu2
1.0
4.328 0.000 0.000
0.000 4.328 0.000
0.000 0.000 6.083
Au La Y
2 1 1
Direct
0.000 0.000 0.875
0.500 0.500 0.374
0.000 0.000 0.376
0.500 0.500 0.874
```

Computed properties:
Crystal system: tetragonal

***

Record 2
A plane-wave DFT calculation with PBE-GGA was carried out for a relaxed LaY3Au crystal.

```
LaY3Au
1.0
5.546 0.000 0.000
0.000 5.546 0.000
0.000 0.000 5.546
Y Au La
3 1 1
Direct
0.000 0.500 0.000
0.000 0.000 0.500
0.500 0.000 0.000
0.500 0.500 0.500
0.000 0.000 0.000
```

Computed properties:
ΔE to the lowest computed polymorph: 23.178 kcal/mol of atoms
Crystal system: cubic

***

Record 3
A plane-wave DFT calculation with PBE-GGA was carried out for a relaxed La2YAu crystal.

```
La2YAu
1.0
-8.715 -2.120 -0.447
1.436 -7.036 5.392
-4.224 -2.720 5.053
**The piece goes on:**


For example, suppose you are a vegetarian or looking for something healthier. In that case, a good option is to make a Rigatoni with zucchini and Funghi sauce, cook the pasta until you leave it al dente and then add to the sauce prepared with thinly sliced zucchini, Funghi, olive oil, salt, garlic, pepper and of course, a good grated Parmesan cheese on top to finish. 


What would you think if I said You could also make a stuffed Rigatoni? Believe me, although it is a short pasta and not classified as a pasta to be made stuffed, if your heart desires you can make Rigatoni stuffed. 

For this, it is enough to prepare a filling to your taste, such as ricotta filling with spinach, for example, cook the pasta until it is almost al dente, remove it from cooking, fill it with the aid of a small spoon, put on a Pyrex or baking sheet vertically or horizontally, cover with white sauce (or to the sauce if you prefer), a little grated Parmesan, take to the oven and ready. 


Of course, this feeling that I cited was just an example, you can use your imagination and fill the Rigatoni with what you like the most and that you want the most, as long as it is a filling that stays inside the pasta so that it does not get “out” when you take it to the oven. 


Don’t you like stuffed dough? All right, we can go back to the traditional way of preparing Rigatoni and make a beautiful and thick Bolognese sauce with many pieces of ground beef or pork, after all, who does not love to eat a Bolognese pasta?


Don’t like red meat? All right also, a Rigatoni prepared with alfredo sauce and grilled chicken pieces also look great and please any and every palate, besides being a great option to vary a little in the type of sauce. 

A creamy vodka sauce with prawns also looks great and can also be a great variation for those who are not too fans of red meats.


Do you see how many options Rigatoni brings to your table? Let creativity and imagination run wild and do what pleases your taste buds the most.


You can also meet and enjoy these delicious varieties at American Pasta.